Newsroom overview
A national, born-digital publication focused on policy analysis and investigative journalism that has branched out into lifestyle, sports, and business coverage.
South Africa
25 percent
When the Daily Maverick launched its membership program, Maverick Insider, they had two goals: make membership as inclusive as possible, and make it easy for those who could provide financial support to do so. So they eschewed membership tiers and implemented a “pay-what-you-can” model, with one key benefit that incentivized those who could afford to contribute more to do so.
Why this is important
The design of your membership program sends clear signals about who it is for. Tiers can help nudge members toward certain financial levels and add predictability to your financial modeling, but they can also bring a level of exclusivity that is discordant with a commitment to equity and inclusion.
The Daily Maverick sought to address this tension by using a pay-what-you-can model for their membership program, Maverick Insiders. Well-designed defaults and benefits nudge those who can afford to pay more to do so, helping the Daily Maverick continue to meet its membership revenue targets.
What they did
When the Daily Maverick launched membership in August 2018, they launched the pay-what-you-can scheme with a slider tool on their membership landing page. Although members could select any amount above R75 (about $4.50), they sought to influence members’ selection by setting the default to R150 (about $10). That was the most common selection among early members, followed by the minimum of R75, or less than $5. (That was the lowest the payment gateway company would process recurring billing contributions.)
This decision was partially informed by the donations drive they ran a few months earlier. The average recurring contribution during that campaign was 100 rand (about $8). The Daily Maverick hypothesized that R150 (about $10) was a reasonable ask once the benefits and community of membership were offered in exchange.
In addition to providing an easier payment process, the Daily Maverick also believes that the pay-what-you-can model helps put their membership in a different category than subscriptions, addressing the issue of subscription fatigue. Tiers are less common among charitable causes, and the Daily Maverick sought to frame joining as charitable support for a free press and equal access to information.
“It taps into a different part of the brain – and budget,” CEO Styli Charalambous writes. “Research shows that the average American household has $30 available for subscriptions and within that space, enough for just one news subscription. And that’s wealthy American households. But people can and do support multiple good causes that resonate with them. We wanted to convey our cause that was worthy of support alongside the Society for the Protection of Animals, National Sea Rescue Institute, or educational development programmes.”
A few months later, the Daily Maverick had a chance meeting with the head of business development for Uber in Africa. Charalambous pitched Uber on the idea of using Uber vouchers to encourage the acquisition and retention of members. They settled on R100 in Uber credit every month to every member contributing R150 or more every month.
It wasn’t a no-brainer decision – the Daily Maverick knew that its members were not interested in being a part of a corporate reward program, and didn’t want Maverick Insiders to become that. All of their other benefits were connected to the Daily Maverick’s journalism. But events were a critical part of their membership strategy, and this seemed like a valuable way to make it easier for members to get to events.
For Uber, it was a chance to achieve greater brand awareness and ridership as they entered the South African market.
The results
When the Daily Maverick first launched the pay-what-you-can model, about 50 percent of their members chose the pre-selected R150 option – a percentage the staff was happy with.
The addition of the Uber benefit, however, was a game changer. It worked, almost instantly. According to CEO Styli Charalambous, the number of people contributing R150 or more a month jumped almost immediately to 90 percent with the addition of the voucher. Daily signups also increased by about 30 percent, with monthly sign-ups consistently topping 300 people.
Although it wasn’t a no-brainer decision for the Daily Maverick to offer this benefit, it was a no-brainer decision for most members to opt into it. If they were likely to use Uber at least once a month, they would actually save money by increasing their contribution to R150
What they learned
People won’t give the bare minimum, even if they can. One of the assumptions that goes into the design of membership tiers is that people will give the minimum amount they have to give to get member benefits, so there needs to be a floor. The fact that at least 50 percent of the Daily Maverick’s early members (pre-Uber benefit) opted for the suggested R150, rather than the minimum R75, disproved that assumption, at least for the Daily Maverick.
Key takeaways and cautionary notes
## What comes next are crystal structures, not part of the text
/*
Record 1
This record from Alexandria via LeMat-Bulk describes an optimized crystal structure of Sr3Tb3DyTe8. The functional is GGA-PBE.

a = 8.900 Å, b = 8.900 Å, c = 9.203 Å
α = 118.92°, β = 90.00°, γ = 120.00°
Positions (direct):
Te: 0.755 0.509 0.269
Te: 0.245 0.491 0.731
Te: 0.744 0.488 0.732
Sr: 0.500 0.500 0.000
Sr: 0.000 0.000 0.000
Te: 0.256 0.512 0.268
Sr: 0.000 0.500 0.000
Tb: 0.500 0.500 0.500
Te: 0.245 0.986 0.731
Tb: 0.000 0.500 0.500
Tb: 0.500 0.000 0.500
Te: 0.259 0.014 0.269
Te: 0.741 0.986 0.731
Te: 0.755 0.014 0.269
Dy: 0.000 0.000 0.500

Summary:
formation energy without anion corrections = -1.522 eV/atom

Record 2
This record from Alexandria via LeMat-Bulk describes an optimized crystal structure of SrTb3Dy2Te6. The functional is GGA-PBE.

a = 4.420 Å, b = 8.860 Å, c = 9.883 Å
α = 103.39°, β = 102.92°, γ = 90.00°
Positions (direct):
Te: 0.335 0.420 0.670
Tb: 0.162 0.818 0.325
Te: 0.328 0.915 0.655
Tb: 0.500 0.500 0.000
Te: 0.672 0.085 0.345
Dy: 0.829 0.656 0.658
Te: 0.004 0.261 0.008
Tb: 0.838 0.182 0.675
Sr: 0.500 0.000 0.000
Dy: 0.171 0.344 0.342
Te: 0.665 0.580 0.330
Te: 0.996 0.739 0.992

Summary:
formation energy without anion corrections = -1.353 eV/atom

Record 3
This record from Alexandria via LeMat-Bulk describes an optimized crystal structure of Sr4Tb3DyTe8. The functional is GGA-PBE.

a = 8.983 Å, b = 9.161 Å, c = 8.983 Å
α = 119.37°, β = 120.00°, γ = 90.00°
Positions (direct):
Sr: 0.000 0.000 0.000
Tb: 0.500 0.500 0.000
Sr: 0.000 0.000 0.500
Te: 0.255 0.269 0.012
Te: 0.756 0.268 0.512
Te: 0.256 0.268 0.512
Te: 0.244 0.732 0.488
Tb: 0.000 0.500 0.500
Dy: 0.000 0.500 0.000
Sr: 0.500 0.000 0.500
Te: 0.745 0.731 0.988
Te: 0.744 0.732 0.488
Te: 0.757 0.269 0.012
Sr: 0.500 0.000 0.000
Te: 0.243 0.731 0.988
Tb: 0.500 0.500 0.500

Summary:
formation energy without anion corrections = -1.501 eV/atom

Record 4
This record from Alexandria via LeMat-Bulk describes an optimized crystal structure of SrDy2Tc. The functional is GGA-PBE.

a = 3.616 Å, b = 3.616 Å, c = 11.229 Å
α = 80.73°, β = 80.73°, γ = 60.00°
Positions (direct):
Dy: 0.891 0.891 0.327
Dy: 0.109 0.109 0.673
Tc: 0.500 0.500 0.500
Sr: 0.000 0.000 0.000

Summary:
formation enthalpy at 0 K = 0.310 eV/atom
offset from the most stable computed form = 1.05 eV per formula unit

Record 5
This record from Alexandria via LeMat-Bulk describes an optimized crystal structure of SrDy2Tc. The functional is GGA-PBE.

a = 3.523 Å, b = 3.523 Å, c = 9.679 Å
α = 90.00°, β = 90.00°, γ = 90.00°
Positions (direct):
Dy: 0.000 0.000 0.166
Tc: 0.500 0.500 0.000
Sr: 0.500 0.500 0.500
Dy: 0.000 0.000 0.834

Summary:
formation enthalpy at 0 K = 0.047 eV/atom
offset from the most stable computed form = 0.00 eV per formula unit

Record 6
This record from Alexandria via LeMat-Bulk describes an optimized crystal structure of Sr2DyTe3. The functional is GGA-PBE.

a = 4.566 Å, b = 6.503 Å, c = 7.977 Å
α = 114.06°, β = 106.63°, γ = 90.00°
Positions (direct):
Sr: 0.170 0.170 0.841
*/
## The crystal structures stop here
Be smart about your nudges. A well-designed, well-targeted discount or reward can help nudge members toward the contribution level that you need to be sustainable, but choose these benefits carefully.
“We have been careful not to be pulled into the discount offer space,” Charalambous writes. “We made this single exception and it worked, but we have not offered any other membership benefits that don’t relate to the [Daily Maverick] experience in some way. We are not a corporate rewards program, we are a cause, and the membership programme should reflect that.”
Other resources
- Styli Charalambous, Medium: “Launching a membership program: Lessons from the frontline”
Disclosure: Membership Puzzle Project has provided support to the Daily Maverick’s membership program through the Membership in News Fund.